## File
+++
[1]
Material: PrGaNi
Method: DFT, PBE-GGA
State: optimized geometry

Cell: 7.1161 4.3732 7.5184 Å, 90.00 90.00 90.00°
Sites, in units of the cell vectors:
Pr 0.0225 0.2500 0.1997
Pr 0.4775 0.7500 0.6997
Pr 0.5225 0.2500 0.3003
Pr 0.9775 0.7500 0.8003
Ga 0.1787 0.2500 0.5802
Ga 0.3213 0.7500 0.0802
Ga 0.6787 0.2500 0.9198
Ga 0.8213 0.7500 0.4198
Ni 0.2016 0.7500 0.4101
Ni 0.2984 0.2500 0.9101
Ni 0.7016 0.7500 0.0899
Ni 0.7984 0.2500 0.5899

## Properties
Its space-group type is No. 62. The calculation puts the total energy at -5.065 eV per atom.

[2]
Material: Ho2Ge4Pd
Method: DFT, PBE-GGA
State: optimized geometry

Cell: 4.0873 8.6646 8.6646 Å, 27.52 90.00 90.00°
Sites, in units of the cell vectors:
Ho 0.0000 0.0000 0.0000
Ho 0.5000 0.2053 0.2053
Ge 0.0000 0.3722 0.3722
Ge 0.0000 0.6409 0.6409
Ge 0.5000 0.5482 0.5482
Ge 0.5000 0.8694 0.8694
Pd 0.0000 0.7856 0.7856

## Properties
Its space-group type is No. 38. The calculation puts the total energy at -5.344 eV per atom.

[3]
Material: CsK2TlF6
Method: DFT, PBE-GGA
State: optimized geometry

Cell: 7.0162 7.0162 7.0162 Å, 60.00 60.00 60.00°
Sites, in units of the cell vectors:
Cs 0.0000 0.0000 0.0000
K 0.2500 0.2500 0.2500
K 0.7500 0.7500 0.7500
Tl 0.5000 0.5000 0.5000
F 0.2789 0.2789 0.7211
F 0.2789 0.7211 0.2789
F 0.2789 0.7211 0.7211
F 0.7211 0.2789 0.2789
F 0.7211 0.2789 0.7211
F 0.7211 0.7211 0.2789

## Properties
Its space-group type is No. 225. The calculation puts the total energy at -4.006 eV per atom.

[4]
Material: Li4VS4
Method: DFT, PBE-GGA
State: optimized geometry

Cell: 14.2496 7.7586 6.1539 Å, 90.00 90.00 90.00°
Sites, in units of the cell vectors:
Li 0.0000 0.0000 0.0000
Li 0.0000 0.5000 0.0000
Li 0.0868 0.2500 0.3696
Li 0.1779 0.0018 0.8044
Li 0.1779 0.4982 0.8044
Li 0.3221 0.5018 0.3044
Li 0.3221 0.9982 0.3044
Li 0.4132 0.7500 0.8696
Li 0.5000 0.0000 0.5000
Li 0.5000 0.5000 0.5000
Li 0.5868 0.2500 0.1304
Li 0.6779 0.0018 0.6956
Li 0.6779 0.4982 0.6956
Li 0.8221 0.5018 0.1956
Li 0.8221 0.9982 0.1956
Li 0.9132 0.7500 0.6304
V 0.0871 0.7500 0.3489
V 0.4129 0.2500 0.8489
V 0.5871 0.7500 0.1511
V 0.9129 0.2500 0.6511
S 0.0624 0.2500 0.7656
S 0.0824 0.7500 0.7090
S 0.1559 0.5141 0.2185
S 0.1559 0.9859 0.2185
S 0.3441 0.0141 0.7185
S 0.3441 0.4859 0.7185
S 0.4176 0.2500 0.2090
S 0.4376 0.7500 0.2656
S 0.5624 0.2500 0.7344
S 0.5824 0.7500 0.7910
S 0.6559 0.5141 0.2815
S 0.6559 0.9859 0.2815
S 0.8441 0.0141 0.7815
S 0.8441 0.4859 0.7815
S 0.9176 0.2500 0.2910
S 0.9376 0.7500 0.2344

## Properties
Its space-group type is No. 62. The calculation puts the total energy at -4.834 eV per atom.

[5]
Material: Li7RuN4
Method: DFT, PBE-GGA
State: optimized geometry

Cell: 9.7688 9.7688 9.7688 Å, 90.00 90.00 90.00°
Sites, in units of the cell vectors:
Li 0.0000 0.0000 0.2634
Li 0.0000 0.0000 0.5000
Li 0.0000 0.0000 0.7366
Li 0.0000 0.2500 0.5000
Li 0.0000 0.2634 0.0000
Li 0.0000 0.5000 0.0000
Li 0.0000 0.5000 0.5000
Li 0.0000 0.7366 0.0000
Li 0.0000 0.7500 0.5000
Li 0.0169 0.2382 0.7480
Li 0.0169 0.7618 0.2520
Li 0.2345 0.2345 0.2345
Li 0.2345 0.7655 0.7655
Li 0.2366 0.5000 0.5000
Li 0.2382 0.2520 0.9831
Li 0.2382 0.7480 0.0169
Li 0.2480 0.2618 0.4831
Li 0.2480 0.7382 0.5169
Li 0.2500 0.5000 0.0000
Li 0.2520 0.0169 0.7618
Li 0.2520 0.9831 0.2382
Li 0.2618 0.4831 0.2480
Li 0.2618 0.5169 0.7520
Li 0.2634 0.0000 0.0000
Li 0.2655 0.2655 0.7345
Li 0.2655 0.7345 0.2655
Li 0.4831 0.2480 0.2618
Li 0.4831 0.7520 0.7382
Li 0.5000 0.0000 0.0000
Li 0.5000 0.0000 0.2500
Li 0.5000 0.0000 0.5000
Li 0.5000 0.0000 0.7500
Li 0.5000 0.2366 0.5000
Li 0.5000 0.5000 0.0000
Li 0.5000 0.5000 0.2366
Li 0.5000 0.5000 0.7634
Li 0.5000 0.7634 0.5000
Li 0.5169 0.2480 0.7382
Li 0.5169 0.7520 0.2618
Li 0.7345 0.2655 0.2655
Li 0.7345 0.7345 0.7345
Li 0.7366 0.0000 0.0000
Li 0.7382 0.4831 0.7520
Li 0.7382 0.5169 0.2480
Li 0.7480 0.0169 0.2382
Li 0.7480 0.9831 0.7618
Li 0.7500 0.5000 0.0000
Li 0.7520 0.2618 0.5169
Li 0.7520 0.7382 0.4831
Li 0.7618 0.2520 0.0169
Li 0.7618 0.7480 0.9831
Li 0.7634 0.5000 0.5000
+++

## Wanted
Next, work out how many lines earlier on have the word "Pd" in them; a number is enough.

## Result
1